Background Buzz Insider - Fake References and Resumes
August 11, 2009
Good day,
We thought this information we discovered on ‘fake references
and resumes’ was important enough that you should know about
it immediately so you can make sure that your clients do not hire
people based on information from these sites. I hope you find
this information useful and we welcome your feedback.
Have a fabulous day and enjoy the rest of your summer.

Fake Credentials Industry is Feasting During Down Economy
Hank Williams’ song line ‘one man's famine, is another
man's feast’ has proven to be true with the economy in a
down spin diploma mills and websites providing fake credentials
for references to degrees are seeing rapid growth. It is estimated
that there are as many as 3,000 such firms worldwide and more
than 700 of them are in the US.
While diploma mills have been around for years a new development
has been the emergence of firms providing fake experience certificates
and references. This first came to light last year from a report
issued by KPMG India. KPMG report revealed the existence of 150-250
such firms, often masquerading as information technology (IT)
companies. KPMG India's executive director Rohit Mahajan stated,
“There are some kind of setups that issue fraudulent experience
certificates. We have identified almost 150 firms that are fictitious
companies.” Abhay Aggarwal, chief executive of Integrity
Verification Services Pvt. Ltd indicated that “During our
background verification process for clients over the past one
year [2008], we found 250 firms that fake experience letters,
salary slips and relieving letters to candidates.”
Jason Morris, CEO, EmployeeScreeningIQ and Past President, NAPBS
believes this is not a problem that is likely unique to India.
Jason added, “It also is a business that desperation breeds
### These data records were left in the entry by mistake
~~~
Arrangement P

ZnSnO2, optimized geometry, DFT PBE; calculated density = 5261 kg/m3; total magnetization = 0.00 Bohr magnetons per cell; space-group type = P1 (1)
1.0
3.1552 0.0000 0.0000
-1.3181 8.4997 0.0000
-1.0903 -3.7232 10.1744
Zn Sn O
4 4 8
Direct
0.0000 0.0000 0.0000 Zn
0.1318 0.6235 0.3912 Zn
0.4154 0.7119 0.0790 Zn
0.6934 0.9120 0.3142 Zn
0.2580 0.6641 0.7505 Sn
0.3458 0.2676 0.3218 Sn
0.7593 0.3564 0.0727 Sn
0.8888 0.9589 0.6414 Sn
0.1597 0.2141 0.9637 O
0.2760 0.0646 0.3744 O
0.3516 0.4534 0.2203 O
0.4202 0.8510 0.9529 O
0.7133 0.7726 0.4396 O
0.7491 0.1715 0.1738 O
0.8320 0.5592 0.0197 O
0.9475 0.4107 0.4303 O

Arrangement Q

ZnSnO2, optimized geometry, DFT PBE; calculated density = 5273 kg/m3; total magnetization = 0.00 Bohr magnetons per cell; space-group type = P1 (1)
1.0
3.3373 0.0000 0.0000
1.2793 8.3369 0.0000
0.3501 1.6376 9.7846
Zn Sn O
4 4 8
Direct
0.0000 0.0000 0.0000 Zn
0.0184 0.6909 0.8448 Zn
0.5251 0.9356 0.3149 Zn
0.5775 0.6965 0.1326 Zn
0.1856 0.5733 0.4749 Sn
0.3384 0.0783 0.6972 Sn
0.5554 0.3676 0.9379 Sn
0.9111 0.2738 0.2772 Sn
0.1049 0.6466 0.0508 O
0.1331 0.2232 0.8534 O
0.3575 0.3576 0.3902 O
0.5057 0.9544 0.1035 O
0.5671 0.5824 0.7961 O
0.6341 0.6855 0.3434 O
0.9035 0.9362 0.8085 O
0.9823 0.0278 0.3736 O

Which is most stable, and by how much? arrangement Q, by 0.077 eV/atom.

Arrangement P

ZnSnO2, optimized geometry, DFT PBE; calculated density = 5530 kg/m3; total magnetization = 0.00 Bohr magnetons per cell; space-group type = P-1 (2)
1.0
3.3636 0.0000 0.0000
0.0936 8.6538 0.0000
0.0435 1.3652 8.9174
Zn Sn O
4 4 8
Direct
0.1341 0.2929 0.0379 Zn
0.3032 0.8733 0.2299 Zn
0.6968 0.1267 0.7701 Zn
0.8659 0.7071 0.9621 Zn
0.2036 0.8359 0.6447 Sn
0.4921 0.4436 0.6969 Sn
0.5079 0.5564 0.3031 Sn
0.7964 0.1641 0.3553 Sn
0.1104 0.6161 0.7860 O
0.1924 0.2187 0.6781 O
0.2761 0.1037 0.2100 O
0.3726 0.7028 0.0818 O
0.6274 0.2972 0.9182 O
0.7239 0.8963 0.7900 O
0.8076 0.7813 0.3219 O
0.8896 0.3839 0.2140 O

Arrangement Q

ZnSnO2, optimized geometry, DFT PBE; calculated density = 5567 kg/m3; total magnetization = 0.00 Bohr magnetons per cell; space-group type = P-1 (2)
1.0
3.3742 0.0000 0.0000
0.7176 8.3511 0.0000
1.4744 0.2587 9.1515
Zn Sn O
4 4 8
Direct
0.1153 0.0282 0.2892 Zn
0.2923 0.2382 0.9070 Zn
0.7077 0.7618 0.0930 Zn
0.8847 0.9718 0.7108 Zn
0.3513 0.2873 0.5497 Sn
0.3585 0.6270 0.8356 Sn
0.6415 0.3730 0.1644 Sn
0.6487 0.7127 0.4503 Sn
0.0819 0.8345 0.5378 O
0.2088 0.1999 0.1301 O
0.2428 0.6332 0.0687 O
0.3489 0.1053 0.7328 O
0.6511 0.8947 0.2672 O
0.7572 0.3668 0.9313 O
0.7912 0.8001 0.8699 O
0.9181 0.1655 0.4622 O

Which is most stable, and by how much? arrangement Q, by 0.098 eV/atom.

Arrangement P

Zn2Sn3O8, optimized geometry, DFT PBE; calculated density = 6182 kg/m3; total magnetization = 0.01 Bohr magnetons per cell; space-group type = P6_3mc (186); piezoelectric modulus e_max = 0.228 C/m²
1.0
6.3349 0.0000 0.0000
-3.1675 5.4862 0.0000
0.0000 0.0000 9.5061
Zn Sn O
4 6 16
Direct
0.3333 0.6667 0.0000 Zn
~~~
because ‘people have to work’ so when there is a down
turn or lack of opportunities people get creative in finding ways
to get a job. When people are desperate they will take any means
necessary to support themselves and their family.” Jason
was prophetic with his comments because with the many of the economies
of the world struggling and unemployment souring people are desperate
for jobs and making desperate decisions. He also sees this as
a real risk to the professional background screening industry
because it is very difficult to verify beyond a shadow of doubt
that a company giving a reference is legitimate. because anybody
can form a company on paper and then start giving out references.
Some of the websites we have discovered that focus on offering
fake job references include,
and (
and point
to this site). In addition, we discovered a site that writes ‘fake
resumes’ as well -
We pulled the following testimonial from the site "Now I'm
working in my dream job... for which I had no experience at all..."
We also found this information on the site; “What exactly
is a fake resume? Basically, a fake resume is one in which a specific
alteration of your employment history is made in order to deceive
a human resources person or hiring authority in order to get hired.”
They leave no doubt that the purpose and intent is to deceive.

W. Barry Nixon, SPHR is the President of
the leading online directory that features background screening
firms and co-author of ‘Background Screening Investigations:
Managing Hiring Risk from HR and Security Perspectives.’
For More Information contact Barry at
